**To do:**
Write out the entries underneath from the line with "-1.046" to the end without altering anything.
**Input:**
<<<
Entry 1:
This record from OMol25 describes C39H46CuP2 as an isolated structure. The level of theory is ωB97M-V with the def2-TZVPD basis set.

Geometry (Å):
Cu -2.539 1.217 1.818
C 1.463 1.311 5.537
C 2.123 1.125 4.368
C 2.520 -0.194 3.781
C 1.293 -1.045 3.374
C 0.769 -1.943 4.458
C 0.953 -1.860 5.781
C 1.958 -1.068 6.561
C 1.701 0.474 6.774
C -3.891 1.493 0.453
H 0.893 2.237 5.733
H 2.560 1.953 3.751
H 3.170 -0.749 4.458
H 3.128 0.009 2.883
H 0.520 -0.357 2.995
H 1.512 -1.626 2.466
H 0.134 -2.732 4.059
H 0.297 -2.406 6.468
H 2.984 -1.253 6.204
H 1.924 -1.479 7.591
H 0.839 0.605 7.458
H 2.595 0.831 7.334
H -4.636 1.975 1.125
H -4.353 0.679 -0.141
H -3.401 2.184 -0.254
P 0.492 1.216 -3.253
P -0.628 -1.577 -3.515
C 1.669 -0.162 -3.147
C 1.182 -1.381 -3.484
C 1.359 2.086 -4.650
C 2.687 1.844 -5.038
C 3.281 2.599 -6.060
C 2.537 3.568 -6.735
C 1.194 3.762 -6.404
C 0.600 3.017 -5.384
C 0.993 2.149 -1.751
C 0.509 1.638 -0.530
C 0.911 2.234 0.662
C 1.794 3.321 0.651
C 2.268 3.821 -0.567
C 1.869 3.239 -1.773
C -0.610 -2.581 -5.113
C -0.143 -1.937 -6.277
C 0.086 -2.660 -7.450
C -0.182 -4.035 -7.490
C -0.726 -4.658 -6.365
C -0.971 -3.931 -5.191
C -0.837 -2.896 -2.250
C -2.154 -3.236 -1.883
C -2.367 -4.287 -0.995
C -1.289 -5.007 -0.462
C 0.016 -4.641 -0.805
C 0.242 -3.578 -1.678
H 2.688 0.027 -2.781
H 1.813 -2.252 -3.700
H 3.276 1.072 -4.547
H 4.327 2.436 -6.319
H 3.006 4.174 -7.510
H 0.609 4.518 -6.928
H -0.449 3.163 -5.118
H -0.152 0.765 -0.539
H 0.543 1.859 1.620
H 2.114 3.771 1.596
H 2.966 4.661 -0.581
H 2.269 3.605 -2.723
H 0.070 -0.864 -6.242
H 0.487 -2.166 -8.336
H 0.030 -4.606 -8.398
H -0.951 -5.726 -6.392
H -1.419 -4.420 -4.323
H -2.996 -2.689 -2.313
H -3.385 -4.570 -0.732
H -1.470 -5.865 0.193
H 0.861 -5.207 -0.409
H 1.264 -3.303 -1.933
C -4.736 1.974 5.449
C -3.334 2.244 4.889
C -2.324 2.192 6.051
C -2.923 1.214 3.821
H -4.819 0.920 5.771
H -5.459 2.224 4.671
H -4.943 2.624 6.315
H -3.322 3.252 4.454
H -2.290 1.149 6.402
H -1.330 2.490 5.704
H -2.561 2.831 6.916
H -3.741 0.483 3.680
H -2.018 0.709 4.195

Values from the calculation:
Molar mass   640.29 g mol⁻¹
Multiplicity   2
<S²>   0.76
Relative energy (zero: lowest compared OMol25 entry of this formula, charge and spin)   0.0 kcal/mol
E_HOMO (alpha / beta)   -7.604 / -7.604 eV
Kohn-Sham gap (alpha / beta)   8.1 / 6.6 eV
F_max   1.7 eV Å⁻¹

=====

Entry 2:
This record from OMol25 describes C39H47CoN4O6 as an isolated structure. The level of theory is ωB97M-V with the def2-TZVPD basis set.

Geometry (Å):
Co -0.116 0.080 -1.428
C -1.064 -2.884 4.687
C -1.274 -3.903 3.566
C -2.744 -4.355 3.603
C -0.359 -5.108 3.833
C -0.966 -3.318 2.190
C -0.538 -2.023 2.023
C -0.324 -1.538 0.724
N 0.033 -0.288 0.350
C 0.351 0.808 1.111
C 0.917 0.841 2.380
C 1.152 2.068 2.971
C 0.725 3.217 2.295
C 0.156 3.233 1.024
C 0.062 1.993 0.373
O -0.293 1.793 -0.889
C -0.299 4.579 0.444
C 0.920 5.500 0.281
C -1.290 5.211 1.437
C -1.008 4.481 -0.911
C 1.858 2.207 4.317
C 0.888 2.805 5.347
C 3.078 3.129 4.157
C 2.355 0.857 4.840
C -0.608 -2.334 -0.425
O -0.520 -1.718 -1.585
C -0.994 -3.682 -0.256
C -1.151 -4.124 1.046
C -1.272 -4.574 -1.465
C -0.036 -4.617 -2.378
C -1.604 -6.007 -1.046
C -2.478 -4.009 -2.237
H -1.313 -3.346 5.644
H -0.025 -2.551 4.734
H -1.707 -2.011 4.556
H -2.996 -4.743 4.593
H -3.402 -3.513 3.381
H -2.939 -5.139 2.871
H -0.563 -5.522 4.824
H -0.514 -5.898 3.097
H 0.688 -4.806 3.793
H -0.392 -1.357 2.861
H 1.220 -0.086 2.845
H 0.867 4.171 2.787
H 1.429 5.663 1.233
H 1.634 5.055 -0.414
H 0.605 6.468 -0.114
H -0.819 5.430 2.397
H -1.683 6.145 1.030
H -2.127 4.533 1.615
H -0.341 4.113 -1.687
H -1.865 3.811 -0.871
H -1.361 5.474 -1.200
H 0.532 3.786 5.030
H 0.021 2.154 5.472
H 1.381 2.917 6.316
H 2.786 4.137 3.862
H 3.623 3.197 5.102
H 3.752 2.735 3.394
H 1.523 0.183 5.053
H 3.021 0.383 4.117
H 2.912 1.006 5.767
H -1.450 -5.151 1.199
H 0.815 -5.046 -1.844
H -0.242 -5.234 -3.256
H 0.233 -3.618 -2.711
H -0.788 -6.452 -0.472
H -2.519 -6.046 -0.451
H -1.759 -6.613 -1.940
H -2.271 -3.001 -2.589
>>>
**Solution:**
C -1.604 -6.007 -1.046
C -2.478 -4.009 -2.237
H -1.313 -3.346 5.644
H -0.025 -2.551 4.734
H -1.707 -2.011 4.556
H -2.996 -4.743 4.593
H -3.402 -3.513 3.381
H -2.939 -5.139 2.871
H -0.563 -5.522 4.824
H -0.514 -5.898 3.097
H 0.688 -4.806 3.793
H -0.392 -1.357 2.861
H 1.220 -0.086 2.845
H 0.867 4.171 2.787
H 1.429 5.663 1.233
H 1.634 5.055 -0.414
H 0.605 6.468 -0.114
H -0.819 5.430 2.397
H -1.683 6.145 1.030
H -2.127 4.533 1.615
H -0.341 4.113 -1.687
H -1.865 3.811 -0.871
H -1.361 5.474 -1.200
H 0.532 3.786 5.030
H 0.021 2.154 5.472
H 1.381 2.917 6.316
H 2.786 4.137 3.862
H 3.623 3.197 5.102
H 3.752 2.735 3.394
H 1.523 0.183 5.053
H 3.021 0.383 4.117
H 2.912 1.006 5.767
H -1.450 -5.151 1.199
H 0.815 -5.046 -1.844
H -0.242 -5.234 -3.256
H 0.233 -3.618 -2.711
H -0.788 -6.452 -0.472
H -2.519 -6.046 -0.451
H -1.759 -6.613 -1.940
H -2.271 -3.001 -2.589